Brief =
It remains to restate the calculation results further below from the line with "triclinic" to the end with every line break kept.

File =
# 1
NaB7H14C2N2O14: relaxed, PBE.

Values from the calculation:
ΔE_f, eV/atom: -1.6838
Crystal system: triclinic

Lattice parameters (Å, degrees): 7.5812 8.4915 11.6423 96.70 94.56 102.91
With the nearest neighbours (Å) after each atom.
Fractional coordinates of all 80 atoms:
O (0.1933, 0.2265, 0.1326)  1 H 1.32, 1 B 1.33
O (0.2443, 0.8004, 0.6914)  2 B 1.38-1.53
O (0.3386, 0.7387, 0.8815)  2 B 1.37-1.49
O (0.5587, 0.9873, 0.1595)  2 B 1.43-1.44
O (0.7061, 0.1988, 0.5069)  1 H 1.00
O (0.5376, 0.2549, 0.7530)  2 B 1.36-1.49
O (0.2939, 0.8012, 0.4931)  1 H 1.00
O (0.6483, 0.5323, 0.7319)  1 H 1.14
O (0.0656, 0.1925, 0.7822)  1 H 1.00
O (0.7557, 0.1996, 0.3086)  2 B 1.38-1.53
O (0.7378, 0.4882, 0.0172)  1 H 1.00
O (0.8067, 0.7735, 0.8674)  1 H 1.32, 1 B 1.33
O (0.4942, 0.9956, 0.6354)  2 B 1.36-1.50
O (0.2622, 0.5118, 0.9828)  1 H 1.00
O (0.8788, 0.0878, 0.1430)  2 B 1.40-1.50
O (0.6614, 0.2613, 0.1185)  2 B 1.37-1.49
O (0.2525, 0.9224, 0.2217)  2 B 1.36-1.49
O (0.4413, 0.0127, 0.8405)  2 B 1.43-1.44
O (0.7475, 0.0776, 0.7783)  2 B 1.36-1.49
O (0.5058, 0.0044, 0.3646)  2 B 1.36-1.50
O (0.3517, 0.4677, 0.2681)  1 H 1.14
O (0.8609, 0.3628, 0.7623)  2 B 1.39-1.41
O (0.4624, 0.7451, 0.2470)  2 B 1.36-1.49
O (0.9541, 0.3272, 0.0490)  2 B 1.39-1.42
O (0.1391, 0.6372, 0.2377)  2 B 1.39-1.41
O (0.1212, 0.9122, 0.8570)  2 B 1.40-1.50
O (0.9344, 0.8075, 0.2178)  1 H 1.00
O (0.0459, 0.6728, 0.9510)  2 B 1.39-1.42
N (0.8464, 0.8016, 0.6217)  3 H 1.04-1.05
N (0.7394, 0.5434, 0.3238)  3 H 1.04-1.06
N (0.2606, 0.4566, 0.6762)  3 H 1.04-1.06
N (0.1536, 0.1984, 0.3783)  3 H 1.04-1.05
H (0.2815, 0.3629, 0.1980)  1 O 1.14
H (0.7986, 0.6254, 0.2695)  1 N 1.05
H (0.3623, 0.2376, 0.5165)  1 C 1.10
H (0.7837, 0.7055, 0.6645)  1 N 1.05
H (0.0813, 0.0860, 0.8055)  1 O 1.00
H (0.5965, 0.5274, 0.3089)  1 N 1.06
H (0.2163, 0.2945, 0.3355)  1 N 1.05
H (0.9865, 0.8153, 0.6406)  1 N 1.04
H (0.6272, 0.1303, 0.5560)  1 O 1.00
H (0.6377, 0.7624, 0.4835)  1 C 1.10
H (0.1893, 0.0955, 0.3368)  1 N 1.05
H (0.8544, 0.8613, 0.4491)  1 C 1.10
H (0.0335, 0.3895, 0.5503)  1 C 1.10
H (0.7627, 0.4286, 0.2995)  1 N 1.04
H (0.7185, 0.6371, 0.8020)  1 O 1.14
H (0.2385, 0.4944, 0.5006)  1 C 1.10
H (0.1456, 0.1387, 0.5509)  1 C 1.10
H (0.4035, 0.4726, 0.6911)  1 N 1.06
H (0.2373, 0.5714, 0.7005)  1 N 1.04
H (0.8107, 0.9045, 0.6632)  1 N 1.05
H (0.9187, 0.9140, 0.1945)  1 O 1.00
H (0.2014, 0.3746, 0.7305)  1 N 1.05
H (0.0135, 0.1847, 0.3594)  1 N 1.04
H (0.8460, 0.5544, 0.9875)  1 O 1.00
H (0.1540, 0.4456, 0.0125)  1 O 1.00
H (0.3728, 0.8697, 0.4440)  1 O 1.00
H (0.7615, 0.5056, 0.4994)  1 C 1.10
H (0.9665, 0.6105, 0.4497)  1 C 1.10
B (0.7837, 0.3583, 0.0610)  3 O 1.37-1.39
B (0.3186, 0.6174, 0.2500)  3 O 1.36-1.41
B (0.7064, 0.1283, 0.1797)  4 O 1.43-1.53
B (0.0143, 0.2088, 0.1089)  3 O 1.33-1.42
B (0.8870, 0.2086, 0.7769)  3 O 1.36-1.39
B (0.9857, 0.7912, 0.8911)  3 O 1.33-1.42
B (0.6537, 0.1325, 0.3915)  3 O 1.36-1.38
B (0.2163, 0.6417, 0.9390)  3 O 1.37-1.39
B (0.1130, 0.7914, 0.2231)  3 O 1.36-1.39
B (0.6814, 0.3826, 0.7500)  3 O 1.36-1.41
B (0.3463, 0.8675, 0.6085)  3 O 1.36-1.38
B (0.4475, 0.9160, 0.2435)  4 O 1.44-1.50
B (0.5525, 0.0840, 0.7565)  4 O 1.44-1.50
B (0.2936, 0.8717, 0.8203)  4 O 1.43-1.53
C (0.1811, 0.4000, 0.5531)  2 H 1.10
C (0.8189, 0.6000, 0.4469)  2 H 1.10
C (0.2169, 0.2360, 0.5057)  2 H 1.10
C (0.7831, 0.7640, 0.4943)  2 H 1.10
Na (0.3835, 0.1960, 0.9944)  3 O 2.28-2.38
Na (0.6165, 0.8040, 0.0056)  3 O 2.28-2.38

# 2
LiNd2IrO6: relaxed, PBE.

Values from the calculation:
ΔE_f, eV/atom: -2.7173
Crystal system: monoclinic

Lattice parameters (Å, degrees): 5.8409 5.4515 9.4597 55.38 90.00 90.00
With the nearest neighbours (Å) after each atom.
Fractional coordinates of all 20 atoms:
Nd (0.0737, 0.7703, 0.7483)  6 O 2.37-2.60
Nd (0.9263, 0.2297, 0.2517)  6 O 2.37-2.60
Nd (0.4263, 0.7703, 0.2483)  6 O 2.37-2.60
Nd (0.5737, 0.2297, 0.7517)  6 O 2.37-2.60
O (0.6875, 0.1517, 0.0485)  1 Ir 2.01, 1 Li 2.16
O (0.0296, 0.6470, 0.2542)  1 Ir 1.99, 1 Li 2.06

Outcome =
Crystal system: triclinic

Lattice parameters (Å, degrees): 7.5812 8.4915 11.6423 96.70 94.56 102.91
With the nearest neighbours (Å) after each atom.
Fractional coordinates of all 80 atoms:
O (0.1933, 0.2265, 0.1326)  1 H 1.32, 1 B 1.33
O (0.2443, 0.8004, 0.6914)  2 B 1.38-1.53
O (0.3386, 0.7387, 0.8815)  2 B 1.37-1.49
O (0.5587, 0.9873, 0.1595)  2 B 1.43-1.44
O (0.7061, 0.1988, 0.5069)  1 H 1.00
O (0.5376, 0.2549, 0.7530)  2 B 1.36-1.49
O (0.2939, 0.8012, 0.4931)  1 H 1.00
O (0.6483, 0.5323, 0.7319)  1 H 1.14
O (0.0656, 0.1925, 0.7822)  1 H 1.00
O (0.7557, 0.1996, 0.3086)  2 B 1.38-1.53
O (0.7378, 0.4882, 0.0172)  1 H 1.00
O (0.8067, 0.7735, 0.8674)  1 H 1.32, 1 B 1.33
O (0.4942, 0.9956, 0.6354)  2 B 1.36-1.50
O (0.2622, 0.5118, 0.9828)  1 H 1.00
O (0.8788, 0.0878, 0.1430)  2 B 1.40-1.50
O (0.6614, 0.2613, 0.1185)  2 B 1.37-1.49
O (0.2525, 0.9224, 0.2217)  2 B 1.36-1.49
O (0.4413, 0.0127, 0.8405)  2 B 1.43-1.44
O (0.7475, 0.0776, 0.7783)  2 B 1.36-1.49
O (0.5058, 0.0044, 0.3646)  2 B 1.36-1.50
O (0.3517, 0.4677, 0.2681)  1 H 1.14
O (0.8609, 0.3628, 0.7623)  2 B 1.39-1.41
O (0.4624, 0.7451, 0.2470)  2 B 1.36-1.49
O (0.9541, 0.3272, 0.0490)  2 B 1.39-1.42
O (0.1391, 0.6372, 0.2377)  2 B 1.39-1.41
O (0.1212, 0.9122, 0.8570)  2 B 1.40-1.50
O (0.9344, 0.8075, 0.2178)  1 H 1.00
O (0.0459, 0.6728, 0.9510)  2 B 1.39-1.42
N (0.8464, 0.8016, 0.6217)  3 H 1.04-1.05
N (0.7394, 0.5434, 0.3238)  3 H 1.04-1.06
N (0.2606, 0.4566, 0.6762)  3 H 1.04-1.06
N (0.1536, 0.1984, 0.3783)  3 H 1.04-1.05
H (0.2815, 0.3629, 0.1980)  1 O 1.14
H (0.7986, 0.6254, 0.2695)  1 N 1.05
H (0.3623, 0.2376, 0.5165)  1 C 1.10
H (0.7837, 0.7055, 0.6645)  1 N 1.05
H (0.0813, 0.0860, 0.8055)  1 O 1.00
H (0.5965, 0.5274, 0.3089)  1 N 1.06
H (0.2163, 0.2945, 0.3355)  1 N 1.05
H (0.9865, 0.8153, 0.6406)  1 N 1.04
H (0.6272, 0.1303, 0.5560)  1 O 1.00
H (0.6377, 0.7624, 0.4835)  1 C 1.10
H (0.1893, 0.0955, 0.3368)  1 N 1.05
H (0.8544, 0.8613, 0.4491)  1 C 1.10
H (0.0335, 0.3895, 0.5503)  1 C 1.10
H (0.7627, 0.4286, 0.2995)  1 N 1.04
H (0.7185, 0.6371, 0.8020)  1 O 1.14
H (0.2385, 0.4944, 0.5006)  1 C 1.10
H (0.1456, 0.1387, 0.5509)  1 C 1.10
H (0.4035, 0.4726, 0.6911)  1 N 1.06
H (0.2373, 0.5714, 0.7005)  1 N 1.04
H (0.8107, 0.9045, 0.6632)  1 N 1.05
H (0.9187, 0.9140, 0.1945)  1 O 1.00
H (0.2014, 0.3746, 0.7305)  1 N 1.05
H (0.0135, 0.1847, 0.3594)  1 N 1.04
H (0.8460, 0.5544, 0.9875)  1 O 1.00
H (0.1540, 0.4456, 0.0125)  1 O 1.00
H (0.3728, 0.8697, 0.4440)  1 O 1.00
H (0.7615, 0.5056, 0.4994)  1 C 1.10
H (0.9665, 0.6105, 0.4497)  1 C 1.10
B (0.7837, 0.3583, 0.0610)  3 O 1.37-1.39
B (0.3186, 0.6174, 0.2500)  3 O 1.36-1.41
B (0.7064, 0.1283, 0.1797)  4 O 1.43-1.53
B (0.0143, 0.2088, 0.1089)  3 O 1.33-1.42
B (0.8870, 0.2086, 0.7769)  3 O 1.36-1.39
B (0.9857, 0.7912, 0.8911)  3 O 1.33-1.42
B (0.6537, 0.1325, 0.3915)  3 O 1.36-1.38
B (0.2163, 0.6417, 0.9390)  3 O 1.37-1.39
B (0.1130, 0.7914, 0.2231)  3 O 1.36-1.39
B (0.6814, 0.3826, 0.7500)  3 O 1.36-1.41
B (0.3463, 0.8675, 0.6085)  3 O 1.36-1.38
B (0.4475, 0.9160, 0.2435)  4 O 1.44-1.50
B (0.5525, 0.0840, 0.7565)  4 O 1.44-1.50
B (0.2936, 0.8717, 0.8203)  4 O 1.43-1.53
C (0.1811, 0.4000, 0.5531)  2 H 1.10
C (0.8189, 0.6000, 0.4469)  2 H 1.10
C (0.2169, 0.2360, 0.5057)  2 H 1.10
C (0.7831, 0.7640, 0.4943)  2 H 1.10
Na (0.3835, 0.1960, 0.9944)  3 O 2.28-2.38
Na (0.6165, 0.8040, 0.0056)  3 O 2.28-2.38

# 2
LiNd2IrO6: relaxed, PBE.

Values from the calculation:
ΔE_f, eV/atom: -2.7173
Crystal system: monoclinic

Lattice parameters (Å, degrees): 5.8409 5.4515 9.4597 55.38 90.00 90.00
With the nearest neighbours (Å) after each atom.
Fractional coordinates of all 20 atoms:
Nd (0.0737, 0.7703, 0.7483)  6 O 2.37-2.60
Nd (0.9263, 0.2297, 0.2517)  6 O 2.37-2.60
Nd (0.4263, 0.7703, 0.2483)  6 O 2.37-2.60
Nd (0.5737, 0.2297, 0.7517)  6 O 2.37-2.60
O (0.6875, 0.1517, 0.0485)  1 Ir 2.01, 1 Li 2.16
O (0.0296, 0.6470, 0.2542)  1 Ir 1.99, 1 Li 2.06